# Contents
[1]
PBE Ca2Zn3Ni4, relaxed; ΔE_f = -0.216 eV per atom
1.0
5.391 0.000 0.000
0.000 7.008 0.000
-2.695 0.000 7.612
Ca Zn Ni
4 6 8
Direct
0.103 0.591 0.205
0.897 0.409 0.795
0.397 0.091 0.795
0.603 0.909 0.205
0.000 0.000 0.000
0.500 0.500 0.000
0.512 0.750 0.525
0.988 0.250 0.475
0.488 0.250 0.475
0.012 0.750 0.525
0.675 0.750 0.850
0.825 0.250 0.150
0.325 0.250 0.150
0.175 0.750 0.850
0.167 0.000 0.333
0.833 0.000 0.667
0.333 0.500 0.667
0.667 0.500 0.333



[2]
PBE PmDyPtRh, relaxed; energy above the most stable polymorph in this dataset = 0 meV/atom; ΔE_f = -1.004 eV per atom
1.0
3.846 0.000 0.000
0.000 4.380 0.000
-1.923 0.000 5.348
Pm Dy Pt Rh
1 1 1 1
Direct
0.144 0.000 0.288
0.863 0.500 0.725
0.584 0.500 0.168
0.410 0.000 0.819



[3]
PBE RbSe3Br, relaxed; energy above the most stable polymorph in this dataset = 741 meV/atom; uncorrected formation energy = 0.912 eV/atom
1.0
6.712 0.000 0.000
0.000 6.712 0.000
0.000 0.000 6.712
Se Br Rb
3 1 1
Direct
0.000 0.500 0.000
0.000 0.000 0.500

# What to do
Next, restate all of the data earlier on unchanged.

# Done
[1]
PBE Ca2Zn3Ni4, relaxed; ΔE_f = -0.216 eV per atom
1.0
5.391 0.000 0.000
0.000 7.008 0.000
-2.695 0.000 7.612
Ca Zn Ni
4 6 8
Direct
0.103 0.591 0.205
0.897 0.409 0.795
0.397 0.091 0.795
0.603 0.909 0.205
0.000 0.000 0.000
0.500 0.500 0.000
0.512 0.750 0.525
0.988 0.250 0.475
0.488 0.250 0.475
0.012 0.750 0.525
0.675 0.750 0.850
0.825 0.250 0.150
0.325 0.250 0.150
0.175 0.750 0.850
0.167 0.000 0.333
0.833 0.000 0.667
0.333 0.500 0.667
0.667 0.500 0.333



[2]
PBE PmDyPtRh, relaxed; energy above the most stable polymorph in this dataset = 0 meV/atom; ΔE_f = -1.004 eV per atom
1.0
3.846 0.000 0.000
0.000 4.380 0.000
-1.923 0.000 5.348
Pm Dy Pt Rh
1 1 1 1
Direct
0.144 0.000 0.288
0.863 0.500 0.725
0.584 0.500 0.168
0.410 0.000 0.819



[3]
PBE RbSe3Br, relaxed; energy above the most stable polymorph in this dataset = 741 meV/atom; uncorrected formation energy = 0.912 eV/atom
1.0
6.712 0.000 0.000
0.000 6.712 0.000
0.000 0.000 6.712
Se Br Rb
3 1 1
Direct
0.000 0.500 0.000
0.000 0.000 0.500